(File)
/*
[1]
Here is one molecule with the formula C4H7NO in a non-equilibrium geometry from the Open Molecules 2025 dataset. Energies are from ωB97M-V/def2-TZVPD.

Calculated values
Relative energy (zero: lowest compared OMol25 entry of this formula, charge and spin) (kcal per mole): 21.2
Spin multiplicity: 1
SMILES: C[C@@H](O)CC#N
Largest force on an atom (eV Å⁻¹): 1.11
Frontier orbital gap (eV): 11.69

Last column: Mulliken charge in e.
CARTESIAN COORDINATES (ANGSTROEM)
C1 -0.0595 1.3439 -0.1070  -1.42
C2 0.5375 -0.0299 -0.3707  0.34
O1 1.8793 -0.1340 0.0735  -0.53
C3 -0.2103 -1.1455 0.3742  -0.51
C4 -1.6247 -1.2367 0.0079  0.26
N1 -2.7423 -1.2826 -0.2869  -0.42
H1 0.5082 2.1172 -0.6378  0.38
H2 -1.0966 1.3937 -0.4539  0.42
H3 -0.0437 1.5708 0.9659  0.37
H4 0.4959 -0.2388 -1.4499  0.19
H5 2.2251 0.7522 0.2256  0.33
H6 -0.1312 -0.9623 1.4512  0.28
H7 0.2815 -2.1019 0.1706  0.31



[2]
Here is C15H37BeN3O7 as an isolated structure in a non-equilibrium geometry from the Open Molecules 2025 dataset. Energies are from ωB97M-V/def2-TZVPD.

Calculated values
Charge: -1
Spin multiplicity: 2
Largest force on an atom (eV Å⁻¹): 2.94
Frontier orbital gap (spin up / spin down) (eV): 3.71 / 2.78

Last column: Mulliken spin population.
CARTESIAN COORDINATES (ANGSTROEM)
Be1 -0.4278 -0.8900 0.3036  -0.53
O1 -1.2174 -3.0058 -1.0762  0.01
C1 -0.6810 -3.3839 -2.3546  0.00
C2 -0.9486 -2.5672 -3.7040  0.00
O2 -2.2552 -2.4953 -4.2577  0.89
H1 -0.7896 -4.4674 -2.4026  0.00
H2 0.3843 -3.2927 -2.1427  0.00
H3 -0.2883 -2.7174 -4.5581  0.04
H4 -0.6754 -1.5306 -3.5064  0.04
O3 -4.4284 0.2315 -3.4862  0.13
C3 -3.9507 1.3555 -2.8337  0.05
C4 -2.5211 1.3442 -2.1254  -0.01
O4 -2.2330 0.2253 -1.2470  0.29
H5 -4.6547 1.5929 -2.0361  -0.01
H6 -3.9373 2.1479 -3.5820  0.01
H7 -2.2581 2.3205 -1.7181  0.00
H8 -1.8152 1.4095 -2.9534  -0.01
C5 0.4873 -0.7835 3.7250  0.03
C6 -0.8696 -1.4729 3.5121  -0.03
C7 -2.0065 -0.4815 3.3127  0.01
O5 -1.7209 0.2819 2.1794  0.08
C8 -2.7820 1.1604 1.9228  0.01
N1 -0.7998 -2.3636 2.4451  0.08
H9 0.9540 -0.2247 2.9137  -0.01
H10 1.2509 -1.3125 4.2953  0.00
H11 0.3074 0.0046 4.4562  0.00
H12 -1.0128 -2.0412 4.4311  -0.01
H13 -2.0215 0.2076 4.1571  0.00
H14 -3.0349 -0.8421 3.3363  0.01
H15 -3.0579 1.8289 2.7384  0.00
H16 -3.5946 0.4943 1.6326  0.00
H17 -2.6842 1.7502 1.0114  0.00
H18 -1.7024 -2.7758 2.2568  -0.01
H19 -0.2387 -3.1789 2.6467  -0.01
C9 3.9672 -2.3159 0.9298  0.00
C10 2.6073 -1.6408 0.4745  0.04
C11 2.6229 -0.9322 -0.9891  -0.01
O6 1.3163 -0.4412 -1.3609  0.00
C12 1.2448 0.2592 -2.6014  0.01
N2 1.4694 -2.5388 0.7017  0.01
H20 3.8470 -2.4353 2.0066  0.00
H21 4.8336 -1.6631 0.8238  0.00
H22 4.2189 -3.2792 0.4861  0.00
H23 2.4903 -0.8055 1.1649  -0.01
H24 2.9923 -1.4788 -1.8568  0.00
H25 3.3617 -0.1353 -0.9048  0.00
H26 1.8470 1.1465 -2.7970  0.00
H27 0.2995 0.8013 -2.5774  0.00
H28 1.3676 -0.4165 -3.4478  0.00
H29 1.6087 -3.1244 1.5127  0.00
H30 1.3967 -3.2355 -0.0258  -0.01
C13 0.1247 2.6473 0.3277  -0.03
O7 0.5078 1.4882 0.4910  -0.03
N3 0.9809 3.6665 0.2085  0.00
C14 0.6185 5.0343 -0.0038  0.00
C15 2.3791 3.4932 0.0036  0.00
H31 -0.9105 3.0053 0.4392  0.00
H32 0.9934 5.6207 0.8350  0.00
H33 -0.4645 5.1485 0.0431  0.00
H34 0.9955 5.3945 -0.9610  0.00
H35 2.8795 4.0997 -0.7513  0.00
H36 3.0733 3.6502 0.8292  0.00
H37 2.5550 2.4589 -0.2922  0.00



[3]
Here is C5H26NO8 as an isolated structure in a non-equilibrium geometry from the Open Molecules 2025 dataset. Energies are from ωB97M-V/def2-TZVPD.

Calculated values
Charge: -1
Relative energy (zero: lowest compared OMol25 entry of this formula, charge and spin) (kcal per mole): 127.0
Spin multiplicity: 1
Largest force on an atom (eV Å⁻¹): 10.30
Frontier orbital gap (eV): 9.02

Last column: Mulliken charge in e.
CARTESIAN COORDINATES (ANGSTROEM)
C1 -1.4875 -2.5056 -1.4490  0.09
O1 -2.1140 -3.5380 -1.3870  -0.56
C2 -2.3205 -1.1681 -1.5428  -0.10
C3 -2.5043 -0.6433 -0.1089  -0.34
C4 -2.1662 0.8538 0.0705  -0.96
C5 -0.4497 2.3089 -1.2060  -0.98
N1 -0.7627 1.0870 -0.2129  -0.03
*/

(Activity)
Next, duplicate all of the listing earlier on verbatim.

(Done)
[1]
Here is one molecule with the formula C4H7NO in a non-equilibrium geometry from the Open Molecules 2025 dataset. Energies are from ωB97M-V/def2-TZVPD.

Calculated values
Relative energy (zero: lowest compared OMol25 entry of this formula, charge and spin) (kcal per mole): 21.2
Spin multiplicity: 1
SMILES: C[C@@H](O)CC#N
Largest force on an atom (eV Å⁻¹): 1.11
Frontier orbital gap (eV): 11.69

Last column: Mulliken charge in e.
CARTESIAN COORDINATES (ANGSTROEM)
C1 -0.0595 1.3439 -0.1070  -1.42
C2 0.5375 -0.0299 -0.3707  0.34
O1 1.8793 -0.1340 0.0735  -0.53
C3 -0.2103 -1.1455 0.3742  -0.51
C4 -1.6247 -1.2367 0.0079  0.26
N1 -2.7423 -1.2826 -0.2869  -0.42
H1 0.5082 2.1172 -0.6378  0.38
H2 -1.0966 1.3937 -0.4539  0.42
H3 -0.0437 1.5708 0.9659  0.37
H4 0.4959 -0.2388 -1.4499  0.19
H5 2.2251 0.7522 0.2256  0.33
H6 -0.1312 -0.9623 1.4512  0.28
H7 0.2815 -2.1019 0.1706  0.31



[2]
Here is C15H37BeN3O7 as an isolated structure in a non-equilibrium geometry from the Open Molecules 2025 dataset. Energies are from ωB97M-V/def2-TZVPD.

Calculated values
Charge: -1
Spin multiplicity: 2
Largest force on an atom (eV Å⁻¹): 2.94
Frontier orbital gap (spin up / spin down) (eV): 3.71 / 2.78

Last column: Mulliken spin population.
CARTESIAN COORDINATES (ANGSTROEM)
Be1 -0.4278 -0.8900 0.3036  -0.53
O1 -1.2174 -3.0058 -1.0762  0.01
C1 -0.6810 -3.3839 -2.3546  0.00
C2 -0.9486 -2.5672 -3.7040  0.00
O2 -2.2552 -2.4953 -4.2577  0.89
H1 -0.7896 -4.4674 -2.4026  0.00
H2 0.3843 -3.2927 -2.1427  0.00
H3 -0.2883 -2.7174 -4.5581  0.04
H4 -0.6754 -1.5306 -3.5064  0.04
O3 -4.4284 0.2315 -3.4862  0.13
C3 -3.9507 1.3555 -2.8337  0.05
C4 -2.5211 1.3442 -2.1254  -0.01
O4 -2.2330 0.2253 -1.2470  0.29
H5 -4.6547 1.5929 -2.0361  -0.01
H6 -3.9373 2.1479 -3.5820  0.01
H7 -2.2581 2.3205 -1.7181  0.00
H8 -1.8152 1.4095 -2.9534  -0.01
C5 0.4873 -0.7835 3.7250  0.03
C6 -0.8696 -1.4729 3.5121  -0.03
C7 -2.0065 -0.4815 3.3127  0.01
O5 -1.7209 0.2819 2.1794  0.08
C8 -2.7820 1.1604 1.9228  0.01
N1 -0.7998 -2.3636 2.4451  0.08
H9 0.9540 -0.2247 2.9137  -0.01
H10 1.2509 -1.3125 4.2953  0.00
H11 0.3074 0.0046 4.4562  0.00
H12 -1.0128 -2.0412 4.4311  -0.01
H13 -2.0215 0.2076 4.1571  0.00
H14 -3.0349 -0.8421 3.3363  0.01
H15 -3.0579 1.8289 2.7384  0.00
H16 -3.5946 0.4943 1.6326  0.00
H17 -2.6842 1.7502 1.0114  0.00
H18 -1.7024 -2.7758 2.2568  -0.01
H19 -0.2387 -3.1789 2.6467  -0.01
C9 3.9672 -2.3159 0.9298  0.00
C10 2.6073 -1.6408 0.4745  0.04
C11 2.6229 -0.9322 -0.9891  -0.01
O6 1.3163 -0.4412 -1.3609  0.00
C12 1.2448 0.2592 -2.6014  0.01
N2 1.4694 -2.5388 0.7017  0.01
H20 3.8470 -2.4353 2.0066  0.00
H21 4.8336 -1.6631 0.8238  0.00
H22 4.2189 -3.2792 0.4861  0.00
H23 2.4903 -0.8055 1.1649  -0.01
H24 2.9923 -1.4788 -1.8568  0.00
H25 3.3617 -0.1353 -0.9048  0.00
H26 1.8470 1.1465 -2.7970  0.00
H27 0.2995 0.8013 -2.5774  0.00
H28 1.3676 -0.4165 -3.4478  0.00
H29 1.6087 -3.1244 1.5127  0.00
H30 1.3967 -3.2355 -0.0258  -0.01
C13 0.1247 2.6473 0.3277  -0.03
O7 0.5078 1.4882 0.4910  -0.03
N3 0.9809 3.6665 0.2085  0.00
C14 0.6185 5.0343 -0.0038  0.00
C15 2.3791 3.4932 0.0036  0.00
H31 -0.9105 3.0053 0.4392  0.00
H32 0.9934 5.6207 0.8350  0.00
H33 -0.4645 5.1485 0.0431  0.00
H34 0.9955 5.3945 -0.9610  0.00
H35 2.8795 4.0997 -0.7513  0.00
H36 3.0733 3.6502 0.8292  0.00
H37 2.5550 2.4589 -0.2922  0.00



[3]
Here is C5H26NO8 as an isolated structure in a non-equilibrium geometry from the Open Molecules 2025 dataset. Energies are from ωB97M-V/def2-TZVPD.

Calculated values
Charge: -1
Relative energy (zero: lowest compared OMol25 entry of this formula, charge and spin) (kcal per mole): 127.0
Spin multiplicity: 1
Largest force on an atom (eV Å⁻¹): 10.30
Frontier orbital gap (eV): 9.02

Last column: Mulliken charge in e.
CARTESIAN COORDINATES (ANGSTROEM)
C1 -1.4875 -2.5056 -1.4490  0.09
O1 -2.1140 -3.5380 -1.3870  -0.56
C2 -2.3205 -1.1681 -1.5428  -0.10
C3 -2.5043 -0.6433 -0.1089  -0.34
C4 -2.1662 0.8538 0.0705  -0.96
C5 -0.4497 2.3089 -1.2060  -0.98
N1 -0.7627 1.0870 -0.2129  -0.03